Sunday 16 November 2008

The Adventures of Teeny Little Super Guy and Super Dad!

Liam had his first bath...and everyone survived. Even dad! He didn't care much for it, but he's cleaner now. He had a rough day yesterday, but he got over that hump. He's apparently eating pretty well (who'd have thought you could get so excited about poop...).

Super Dad, aka Ryan, is now a pro at changing diapers, squeezing vaseline, arranging pillows, keeping sleepy babies awake while they breastfeed, and dressing squirmy babies.

He's also really good at fixing meals (since mommy's a little sore and stuck upstairs for the most part), hauling water, doing laundry, running the dishwasher, and running to the baby store (later today!).

Even more important, he's really good at keeping mommy from having a crazy breakdown while she fights the evil forces of sore breasts and sleep deprivation. Yay, Super Dad!

Saturday 15 November 2008

November 11th

On this day...

The Fourth Lateran Council, the signing of the Mayflower Compact, the start of Sherman's "March to the Sea," Washington becomes a state, World War I ends, the famous US Route 66 is established, the newest Las Vegas casino opens...and, most importantly, Liam is born!

The saga (of course it was...haven't you been paying attention so far?) began on Monday with the phone call to find out when the c-section was actually scheduled. All of my paperwork says "call if you haven't heard from us by 4." So I called the number on the paper. They don't have that schedule, but they can transfer me to the people who should.


They transfer me. I explain again. They don't do that either...but, they can transfer me to the people who do.


They transfer me. I explain again. Well, they have that information, but they're not the ones who are supposed to let me know what time it is. "We really need to find out who's supposed to be calling the c-sections." Yeah, I'd say that would be a step in the right direction.

So, I'm scheduled for 8:45...need to be there at 6. Really, 6? Jeez. I'm glad I called. I was told be there at 7:30 for a 9:30.

So, we get up reallllly early and go to the hospital where the nice lady at the nurses' station tells me I'm not scheduled until 10. I'm pretty sure that I was really mean to her, but I was working on not bursting into tears right there in the hallway, so she'll have to get over it.

So we wait. This picture is from after I got over my nervous breakdown about letting people cut me open who can't even tell me what time to be at the hospital (for those of you who missed it...I still have my tonsils, have never had so much as a stitch...the last time I was admitted to a hospital was probably when I was being I'm not really keen on the whole thing).

So we keep waiting. The two scheduled ahead of me are running a little behind. Pretty normal. They get me all set up...gown, IV, catheter (third time's a charm) and we head over to the recovery room for one last sonogram to make sure baby is still going the wrong direction. That would be pretty go through all of this and have them say "Whoops! He turned around!"

We start the paperwork and then we learn there's someone on the way in an ambulance. We get bumped and head back to the room.

That one takes awhile due to some extra complications and in the meantime another emergency c-section, twins this time, bumps us again. Only I could end up scheduled on the day they have two emergency c-sections.

After they clear out, the lovely Mindy rushes us over to the OR. No, really rushes. Doesn't bother grabbing a wheelchair or anything. We're going to beat the other person who is waiting. Because I've been waiting longer...much longer. It's been 8 hours now.

I get all ready to go in the bright, cold, scary room with lots of sharp things and three very nice ladies. Two nurses and the anesthesiologist are getting everything ready for me. Another nurse comes in to get things ready for Liam while they look for the doctors.

Oh, yeah. We're still missing doctors. That might be important.

Obviously, they were found in time. Both of them and Amanda the PA. I can't feel anything. In fact, the spinal was so high that my hands are numb and I think I'm having trouble breathing, but they're not worried because my oxygen levels are great.

Mostly, what I remember is Ryan's grip on my tingly hand, seeing the vague reflection of blood in the big light over me, and then a very tiny, very slimy baby. We officially have a baby 31 minutes later at 2:31.

Ryan and Liam went to the nursery while they closed me up. I recovered in one of the labor rooms (it was a busy day for babies at Saint Vincent's) with Ryan (who left Liam with the nice nursery ladies and a large crowd of fans) and my mom and the grab-the-bull-by-the-horns Mindy.

Luckily, we got done in time for the Sitter side to see the little guy before heading off to California for another very important day...Uncle Sean's wedding!

Liam weighs in at 6 pounds 7 ounces. I think a lot of it is those huge feet

All swaddled up and no place to go. Have to wait for mommy!

Here we are! I'm still pretty high...there was a little bit of morphine in that spinal (note to more morphine ever! The itching was soooo much worse than the pain. I know it sounds crazy, but it's true! A big thanks to Bethany!).

We start right away trying to put some meat on this little guy's bones. He's a natural. Then he snuggles with mommy for awhile.

I'm sure that I'm biased, but I swear he keeps getting cuter.

'''
No. 1
# meta-GGA r2SCAN SiIr3, optimized geometry
# - E_tot (eV for the cell shown) = -669.87
# - formation energy (meV per atom) = -404
data_SiIr3
_chemical_formula_sum 'Si4 Ir12'
_cell_length_a 5.254
_cell_length_b 5.254
_cell_length_c 7.991
_cell_angle_alpha 90.00
_cell_angle_beta 90.00
_cell_angle_gamma 90.00
_symmetry_space_group_name_H-M 'I 4/m c m'
_symmetry_Int_Tables_number 140
_symmetry_space_group_name_Hall '-I 4 2c'
loop_
_atom_site_label
_atom_site_type_symbol
_atom_site_fract_x
_atom_site_fract_y
_atom_site_fract_z
Si1 Si 0.000 0.500 0.250
Ir1 Ir 0.000 0.000 0.250
Ir2 Ir 0.184 0.316 0.000

No. 2
# meta-GGA r2SCAN GdBr3, optimized geometry
# - E_tot (eV for the cell shown) = -366.71
# - formation energy (meV per atom) = -2126
data_GdBr3
_chemical_formula_sum 'Gd4 Br12'
_cell_length_a 7.298
_cell_length_b 12.637
_cell_length_c 6.967
_cell_angle_alpha 90.00
_cell_angle_beta 109.71
_cell_angle_gamma 90.00
_symmetry_space_group_name_H-M 'C 1 2/m 1'
_symmetry_Int_Tables_number 12
_symmetry_space_group_name_Hall '-C 2y'
loop_
_atom_site_label
_atom_site_type_symbol
_atom_site_fract_x
_atom_site_fract_y
_atom_site_fract_z
Gd1 Gd 0.000 0.166 0.000
Br1 Br 0.217 0.000 0.246
Br2 Br 0.243 0.179 0.758

No. 3
# meta-GGA r2SCAN Ti13Sb3, optimized geometry
# - E_tot (eV for the cell shown) = -249.70
# - formation energy (meV per atom) = -274
data_Ti13Sb3
_chemical_formula_sum 'Ti13 Sb3'
_cell_length_a 4.753
_cell_length_b 5.696
_cell_length_c 10.456
_cell_angle_alpha 90.00
_cell_angle_beta 90.00
_cell_angle_gamma 90.00
_symmetry_space_group_name_H-M 'P m m 2'
_symmetry_Int_Tables_number 25
_symmetry_space_group_name_Hall 'P 2 -2'
loop_
_atom_site_label
_atom_site_type_symbol
_atom_site_fract_x
_atom_site_fract_y
_atom_site_fract_z
Ti1 Ti 0.000 0.000 0.000
Ti2 Ti 0.000 0.000 0.488
Ti3 Ti 0.000 0.237 0.742
Ti4 Ti 0.000 0.255 0.258
Ti5 Ti 0.000 0.500 0.502
Ti6 Ti 0.500 0.000 0.640
Ti7 Ti 0.500 0.239 0.895
Ti8 Ti 0.500 0.257 0.394
Ti9 Ti 0.500 0.500 0.142
Sb1 Sb 0.000 0.500 0.987
Sb2 Sb 0.500 0.000 0.152
Sb3 Sb 0.500 0.500 0.655

No. 4
# meta-GGA r2SCAN Zn2NiRh, optimized geometry
# - E_tot (eV for the cell shown) = -221.41
# - formation energy (meV per atom) = -354
data_Zn2NiRh
_chemical_formula_sum 'Zn8 Ni4 Rh4'
_cell_length_a 5.853
_cell_length_b 5.853
_cell_length_c 5.853
_cell_angle_alpha 90.00
_cell_angle_beta 90.00
_cell_angle_gamma 90.00
_symmetry_space_group_name_H-M 'F m -3 m'
_symmetry_Int_Tables_number 225
_symmetry_space_group_name_Hall '-F 4 2 3'
loop_
_atom_site_label
_atom_site_type_symbol
_atom_site_fract_x
_atom_site_fract_y
_atom_site_fract_z
Zn1 Zn 0.250 0.250 0.250
Ni1 Ni 0.000 0.000 0.000
Rh1 Rh 0.000 0.000 0.500

~~~~~

Compound: Li2Fe2SiO6
Source: the Materials Project database
Functional: GGA+U
Structure: relaxed

Structure (POSCAR):
```
Li2Fe2SiO6
1.0
0.000 11.149 11.090
3.376 0.000 11.090
3.376 11.149 0.000
Li Fe Si O
12 12 6 36
Direct
0.000 0.000 0.000
0.035 0.679 0.327
0.250 0.250 0.250
0.291 0.923 0.571
0.330 0.330 0.670
'''

It could be because he looks like daddy. Especially when he's asleep. Here, Super Dad gets some sleep. Since I couldn't do anything the first night, Ryan got a crash course in diapers, swaddling, pee fountains, and sheer exhaustion. He did great!

Grammy helps out the next day while Ryan goes home to shower up, get some food not prepared by a hospital, and sleep in a real bed for an hour or so. Thanks, Grammy!

We made it! We look pretty tired (especially Liam). Probably because we are.

We're still figuring it all out, but we got through the first night at home without any major disasters (just sad, noisy kitties who haven't seen me in days). We have been reminded about what happens to those not prepared for the pee fountain and have discussed polar bears at 3 a.m. while daddy tried to get some sleep. We're going to take a little bath later and do the basket of laundry we've already accumulated. We don't have enough clothes small enough, so we have to get it done!

No problem!